Exercise
It remains to restate everything underneath character by character.

Input
Material: V3Cd5P6O25
Method: DFT, GGA+U
State: relaxed

uncorrected energy: -521.40 eV per cell
space-group type: C2/c, No. 15

Lattice parameters (Å, degrees): 8.8995 8.8995 24.6632 102.65 102.65 31.34
Atoms (fractional coordinates):
V1 0.0574 0.9426 0.7500
V2 0.2291 0.2321 0.0869
V3 0.2321 0.2291 0.5869
V4 0.7679 0.7709 0.4131
V5 0.7709 0.7679 0.9131
V6 0.9426 0.0574 0.2500
Cd1 0.0000 0.0000 0.0000
Cd2 0.0000 0.0000 0.5000
Cd3 0.3072 0.3594 0.2917
Cd4 0.3594 0.3072 0.7917
Cd5 0.4160 0.4627 0.1163
Cd6 0.4627 0.4160 0.6163
Cd7 0.5373 0.5840 0.3837
Cd8 0.5840 0.5373 0.8837
Cd9 0.6406 0.6928 0.2083
Cd10 0.6928 0.6406 0.7083
P1 0.0277 0.1149 0.1408
P2 0.1149 0.0277 0.6408
P3 0.1602 0.1931 0.8256
P4 0.1931 0.1602 0.3256
P5 0.3279 0.3727 0.4969
P6 0.3727 0.3279 0.9969
P7 0.6273 0.6721 0.0031
P8 0.6721 0.6273 0.5031
P9 0.8069 0.8398 0.6744
P10 0.8398 0.8069 0.1744
P11 0.8851 0.9723 0.3592
P12 0.9723 0.8851 0.8592
O1 0.0214 0.2895 0.1356
O2 0.0495 0.7595 0.6881
O3 0.0616 0.4268 0.3543
O4 0.0767 0.6539 0.4640
O5 0.0849 0.3177 0.7711
O6 0.1043 0.5579 0.1378
O7 0.1252 0.4551 0.9582
O8 0.1301 0.7435 0.8032
O9 0.1380 0.8556 0.9075
O10 0.1444 0.8620 0.5925
O11 0.1977 0.4373 0.5482
O12 0.2108 0.6618 0.3522
O13 0.2405 0.9505 0.8119
O14 0.2565 0.8699 0.6968
O15 0.2838 0.7162 0.2500
O16 0.2895 0.0214 0.6356
O17 0.3049 0.5571 0.0223
O18 0.3177 0.0849 0.2711
O19 0.3382 0.7892 0.1478
O20 0.3461 0.9233 0.0360
O21 0.4268 0.0616 0.8543
O22 0.4373 0.1977 0.0482
O23 0.4421 0.8957 0.3622
O24 0.4429 0.6951 0.4777
O25 0.4551 0.1252 0.4582
O26 0.5449 0.8748 0.5418
O27 0.5571 0.3049 0.5223
O28 0.5579 0.1043 0.6378
O29 0.5627 0.8023 0.9518
O30 0.5732 0.9384 0.1457
O31 0.6539 0.0767 0.9640
O32 0.6618 0.2108 0.8522
O33 0.6823 0.9151 0.7289
O34 0.6951 0.4429 0.9777
O35 0.7105 0.9786 0.3644
O36 0.7162 0.2838 0.7500
O37 0.7435 0.1301 0.3032
O38 0.7595 0.0495 0.1881
O39 0.7892 0.3382 0.6478
O40 0.8023 0.5627 0.4518
O41 0.8556 0.1380 0.4075
O42 0.8620 0.1444 0.0925
O43 0.8699 0.2565 0.1968
O44 0.8748 0.5449 0.0418
O45 0.8957 0.4421 0.8622
O46 0.9151 0.6823 0.2289
O47 0.9233 0.3461 0.5360
O48 0.9384 0.5732 0.6457
O49 0.9505 0.2405 0.3119
O50 0.9786 0.7105 0.8644

----------

Entry 1:
This record from Alexandria describes KTa2Si at its PBEsol-relaxed geometry. The functional is SCAN.

- Fermi-level density of states (states/eV/cell) = 7.6
- total energy (eV for the cell shown) = -446.94
- formation energy without anion corrections (eV per atom) = 0.63

```
data_KTa2Si
_cell_length_a 2.8923
_cell_length_b 2.8923
_cell_length_c 32.4292
_cell_angle_alpha 90.00
_cell_angle_beta 90.00
_cell_angle_gamma 120.00
_symmetry_space_group_name_H-M 'R -3 m'
_symmetry_Int_Tables_number 166
_symmetry_space_group_name_Hall '-R 3 2"'
loop_
_atom_site_label
_atom_site_type_symbol
_atom_site_fract_x
_atom_site_fract_y
_atom_site_fract_z
K1 K 0.0000 0.0000 0.0000
Ta1 Ta 0.0000 0.0000 0.2338
Si1 Si 0.0000 0.0000 0.5000
```

=====

Entry 2:
This record from Alexandria describes Mo5Ir at its PBEsol-relaxed geometry. The functional is SCAN.

- E above lowest polymorph (meV/atom) = 47.5
- Fermi-level density of states (states/eV/cell) = 7.2
- total energy (eV for the cell shown) = -244.05
- energy of formation (meV/atom) = 246

```
data_Mo5Ir
_cell_length_a 4.8247
_cell_length_b 4.8247
_cell_length_c 4.5032
_cell_angle_alpha 90.00
_cell_angle_beta 90.00
_cell_angle_gamma 120.00
_symmetry_space_group_name_H-M 'P -6 2 m'
_symmetry_Int_Tables_number 189
_symmetry_space_group_name_Hall 'P -6 -2'
loop_
_atom_site_label
_atom_site_type_symbol
_atom_site_fract_x
_atom_site_fract_y
_atom_site_fract_z
Mo1 Mo 0.0000 0.3295 0.0000
Mo2 Mo 0.3333 0.6667 0.5000
Ir1 Ir 0.0000 0.0000 0.5000
```

=====

Entry 3:
This record from Alexandria describes KZrCuS3 at its PBEsol-relaxed geometry. The functional is SCAN.

- total energy (eV for the cell shown) = -368.02
- formation energy without anion corrections (eV per atom) = -1.48

```
data_KZrCuS3
_cell_length_a 3.704
_cell_length_b 13.977
_cell_length_c 9.677

Result
Material: V3Cd5P6O25
Method: DFT, GGA+U
State: relaxed

uncorrected energy: -521.40 eV per cell
space-group type: C2/c, No. 15

Lattice parameters (Å, degrees): 8.8995 8.8995 24.6632 102.65 102.65 31.34
Atoms (fractional coordinates):
V1 0.0574 0.9426 0.7500
V2 0.2291 0.2321 0.0869
V3 0.2321 0.2291 0.5869
V4 0.7679 0.7709 0.4131
V5 0.7709 0.7679 0.9131
V6 0.9426 0.0574 0.2500
Cd1 0.0000 0.0000 0.0000
Cd2 0.0000 0.0000 0.5000
Cd3 0.3072 0.3594 0.2917
Cd4 0.3594 0.3072 0.7917
Cd5 0.4160 0.4627 0.1163
Cd6 0.4627 0.4160 0.6163
Cd7 0.5373 0.5840 0.3837
Cd8 0.5840 0.5373 0.8837
Cd9 0.6406 0.6928 0.2083
Cd10 0.6928 0.6406 0.7083
P1 0.0277 0.1149 0.1408
P2 0.1149 0.0277 0.6408
P3 0.1602 0.1931 0.8256
P4 0.1931 0.1602 0.3256
P5 0.3279 0.3727 0.4969
P6 0.3727 0.3279 0.9969
P7 0.6273 0.6721 0.0031
P8 0.6721 0.6273 0.5031
P9 0.8069 0.8398 0.6744
P10 0.8398 0.8069 0.1744
P11 0.8851 0.9723 0.3592
P12 0.9723 0.8851 0.8592
O1 0.0214 0.2895 0.1356
O2 0.0495 0.7595 0.6881
O3 0.0616 0.4268 0.3543
O4 0.0767 0.6539 0.4640
O5 0.0849 0.3177 0.7711
O6 0.1043 0.5579 0.1378
O7 0.1252 0.4551 0.9582
O8 0.1301 0.7435 0.8032
O9 0.1380 0.8556 0.9075
O10 0.1444 0.8620 0.5925
O11 0.1977 0.4373 0.5482
O12 0.2108 0.6618 0.3522
O13 0.2405 0.9505 0.8119
O14 0.2565 0.8699 0.6968
O15 0.2838 0.7162 0.2500
O16 0.2895 0.0214 0.6356
O17 0.3049 0.5571 0.0223
O18 0.3177 0.0849 0.2711
O19 0.3382 0.7892 0.1478
O20 0.3461 0.9233 0.0360
O21 0.4268 0.0616 0.8543
O22 0.4373 0.1977 0.0482
O23 0.4421 0.8957 0.3622
O24 0.4429 0.6951 0.4777
O25 0.4551 0.1252 0.4582
O26 0.5449 0.8748 0.5418
O27 0.5571 0.3049 0.5223
O28 0.5579 0.1043 0.6378
O29 0.5627 0.8023 0.9518
O30 0.5732 0.9384 0.1457
O31 0.6539 0.0767 0.9640
O32 0.6618 0.2108 0.8522
O33 0.6823 0.9151 0.7289
O34 0.6951 0.4429 0.9777
O35 0.7105 0.9786 0.3644
O36 0.7162 0.2838 0.7500
O37 0.7435 0.1301 0.3032
O38 0.7595 0.0495 0.1881
O39 0.7892 0.3382 0.6478
O40 0.8023 0.5627 0.4518
O41 0.8556 0.1380 0.4075
O42 0.8620 0.1444 0.0925
O43 0.8699 0.2565 0.1968
O44 0.8748 0.5449 0.0418
O45 0.8957 0.4421 0.8622
O46 0.9151 0.6823 0.2289
O47 0.9233 0.3461 0.5360
O48 0.9384 0.5732 0.6457
O49 0.9505 0.2405 0.3119
O50 0.9786 0.7105 0.8644

----------

Entry 1:
This record from Alexandria describes KTa2Si at its PBEsol-relaxed geometry. The functional is SCAN.

- Fermi-level density of states (states/eV/cell) = 7.6
- total energy (eV for the cell shown) = -446.94
- formation energy without anion corrections (eV per atom) = 0.63

```
data_KTa2Si
_cell_length_a 2.8923
_cell_length_b 2.8923
_cell_length_c 32.4292
_cell_angle_alpha 90.00
_cell_angle_beta 90.00
_cell_angle_gamma 120.00
_symmetry_space_group_name_H-M 'R -3 m'
_symmetry_Int_Tables_number 166
_symmetry_space_group_name_Hall '-R 3 2"'
loop_
_atom_site_label
_atom_site_type_symbol
_atom_site_fract_x
_atom_site_fract_y
_atom_site_fract_z
K1 K 0.0000 0.0000 0.0000
Ta1 Ta 0.0000 0.0000 0.2338
Si1 Si 0.0000 0.0000 0.5000
```

=====

Entry 2:
This record from Alexandria describes Mo5Ir at its PBEsol-relaxed geometry. The functional is SCAN.

- E above lowest polymorph (meV/atom) = 47.5
- Fermi-level density of states (states/eV/cell) = 7.2
- total energy (eV for the cell shown) = -244.05
- energy of formation (meV/atom) = 246

```
data_Mo5Ir
_cell_length_a 4.8247
_cell_length_b 4.8247
_cell_length_c 4.5032
_cell_angle_alpha 90.00
_cell_angle_beta 90.00
_cell_angle_gamma 120.00
_symmetry_space_group_name_H-M 'P -6 2 m'
_symmetry_Int_Tables_number 189
_symmetry_space_group_name_Hall 'P -6 -2'
loop_
_atom_site_label
_atom_site_type_symbol
_atom_site_fract_x
_atom_site_fract_y
_atom_site_fract_z
Mo1 Mo 0.0000 0.3295 0.0000
Mo2 Mo 0.3333 0.6667 0.5000
Ir1 Ir 0.0000 0.0000 0.5000
```

=====

Entry 3:
This record from Alexandria describes KZrCuS3 at its PBEsol-relaxed geometry. The functional is SCAN.

- total energy (eV for the cell shown) = -368.02
- formation energy without anion corrections (eV per atom) = -1.48

```
data_KZrCuS3
_cell_length_a 3.704
_cell_length_b 13.977
_cell_length_c 9.677